Snoop Dogg expected to be on ‘best behaviour’ for Isle of MTV

Controversial rapper Snoop Dogg, who will be headlining this year’s edition of the free, open-air Isle of MTV concert on 30 June is promised to be on his “best behaviour” for the duration of the concert, which will be held at the Granaries in Floriana.

-- begin --
Crystalline Li4TiCrO6 at its relaxed geometry, computed with PBE with a Hubbard U.

Calculated total energy   -319.98 eV/cell
Energy of formation from the pure elements   -2.604 eV/atom

a = 5.0654 Å, b = 8.7679 Å, c = 9.8032 Å
α = 98.38°, β = 94.92°, γ = 90.06°
Closest atoms and distances in Å follow each position.
Space group P1 (No. 1)
Symmetry-distinct sites (fractional):
Li 0.0000 0.0000 0.0000  6 O 2.07-2.26
Li 0.0030 0.3289 0.9999  6 O 2.03-2.24
Li 0.0141 0.6553 0.9995  6 O 2.08-2.26
Li 0.1324 0.4522 0.7485  6 O 2.10-2.13
Li 0.2486 0.2422 0.4969  6 O 2.06-2.28
Li 0.2572 0.5801 0.4974  6 O 2.03-2.23
Li 0.2676 0.9102 0.4988  6 O 2.07-2.24
Li 0.3821 0.7005 0.2485  6 O 2.10-2.14
Li 0.4990 0.4979 0.9979  6 O 2.09-2.20
Li 0.5078 0.8292 0.9975  6 O 2.04-2.24
Li 0.5177 0.1546 0.9972  6 O 2.11-2.27
Li 0.6321 0.9531 0.7488  6 O 2.12-2.13
Li 0.7447 0.7430 0.4990  6 O 2.08-2.23
Li 0.7521 0.0802 0.5004  6 O 2.03-2.20
Li 0.7682 0.4114 0.5010  6 O 2.08-2.26
Li 0.8816 0.2004 0.2492  6 O 2.09-2.15
Ti 0.1259 0.7858 0.7452  6 O 1.94-2.04
Ti 0.1368 0.1204 0.7526  6 O 1.94-2.03
Ti 0.3831 0.3710 0.2492  6 O 1.95-2.00
Ti 0.8828 0.8712 0.2500  6 O 1.95-1.99
Cr 0.3813 0.0345 0.2479  6 O 1.91-2.00
Cr 0.6247 0.6169 0.7480  6 O 1.88-2.00
Cr 0.6384 0.2889 0.7500  6 O 1.88-2.00
Cr 0.8815 0.5346 0.2487  6 O 1.91-2.00
O 0.0430 0.7184 0.3607  1 Cr 1.95, 1 Ti 1.98, 3 Li 2.11-2.16
O 0.0744 0.4035 0.3636  1 Cr 1.93, 1 Ti 2.00, 3 Li 2.04-2.15
O 0.0756 0.0433 0.3633  1 Ti 1.95, 1 Cr 1.99, 3 Li 2.07-2.16
O 0.1880 0.5045 0.1320  1 Ti 1.97, 1 Cr 2.00, 4 Li 2.03-2.13
O 0.1924 0.8655 0.1367  1 Cr 1.91, 1 Ti 1.99, 2 Li 2.09-2.12
O 0.2216 0.1817 0.1371  1 Cr 1.94, 1 Ti 1.99, 2 Li 2.11
O 0.2925 0.9715 0.8632  2 Ti 1.94-2.00, 3 Li 2.07-2.17
O 0.3332 0.2953 0.8612  1 Ti 1.95, 1 Cr 1.96, 3 Li 2.10-2.18
O 0.3380 0.6485 0.8636  1 Cr 1.91, 1 Ti 2.04, 3 Li 2.04-2.13
O 0.4308 0.7565 0.6327  1 Ti 1.97, 1 Cr 1.99, 4 Li 2.03-2.14
O 0.4380 0.1163 0.6374  1 Cr 1.96, 1 Ti 1.97, 3 Li 2.06-2.16
O 0.4692 0.4404 0.6375  2 Cr 1.88-2.00, 2 Li 2.10
O 0.5428 0.2184 0.3603  1 Cr 1.95, 1 Ti 1.98, 3 Li 2.08-2.17
O 0.5733 0.9035 0.3632  1 Cr 1.93, 1 Ti 1.99, 3 Li 2.05-2.14
O 0.5751 0.5428 0.3632  1 Ti 1.95, 1 Cr 1.99, 4 Li 2.08-2.17
O 0.6890 0.0045 0.1322  1 Ti 1.97, 1 Cr 2.00, 4 Li 2.04-2.13
O 0.6926 0.3659 0.1369  1 Cr 1.91, 1 Ti 1.99, 2 Li 2.10-2.13
O 0.7223 0.6815 0.1375  1 Cr 1.94, 1 Ti 1.99, 2 Li 2.08-2.11
O 0.7948 0.4648 0.8604  2 Cr 1.88-2.00, 2 Li 2.09-2.10
O 0.8273 0.7891 0.8611  1 Ti 1.97, 1 Cr 1.97, 3 Li 2.09-2.18
O 0.8332 0.1496 0.8654  1 Ti 1.97, 1 Cr 1.99, 4 Li 2.04-2.14
O 0.9267 0.2578 0.6343  1 Cr 1.92, 1 Ti 2.03, 3 Li 2.03-2.12
O 0.9312 0.6102 0.6372  1 Ti 1.95, 1 Cr 1.97, 3 Li 2.08-2.15
O 0.9710 0.9346 0.6343  2 Ti 1.94-2.00, 2 Li 2.08-2.12

~~~~~

Y2ReC2: optimized geometry, meta-GGA r2SCAN.

Output
**E_form**: -0.554 eV per atom
**Calculated volume**: 83.2 Å³/f.u.

a = 6.580 Å, b = 5.117 Å, c = 9.889 Å
α = 90.00°, β = 90.00°, γ = 90.00°
Space group Pnma (No. 62)
Asymmetric unit:
-- stop --

“He owes a lot to MTV,” government sources within the Malta Tourism Authority (MTA) said. “He actually headlined for a previous edition of Isle of MTV – in Trieste – where he was on his best behaviour. He knows on what side his bread is buttered, and will not compromise that.”

However it remains unclear what ‘best behaviour’ would constitute in this case, given that the lyrical content of Snoop Dogg’s discography is practically rife with obscenities – even government sources have acknowledged that one would have to “rifle through the songs for words that aren’t obscene.”

It is also unclear how Snoop Dogg’s performance on 30 June – restrained as it may be – sits with Malta’s censorship and obscenity laws. Last summer’s edition of Isle of MTV festival hosted another hip-hop artist – Kid Rock – whose liberal use of swearwords led many to wonder whether double-standards came into play when it came to lucrative foreign acts, given the highly controversial cases of censorship that have dominated the media, and Maltese cultural life, over the past couple of years.

While stopping short of elaborating on this, the MTA source pointed out how, strictly speaking, concerts do not fall into the remit of the censorship law – unlike theatrical performances – and that it is only the police that could pose a problem to the performance on 30 June.

Well said Sinan!!
I am a father of three, two of whom are fans of rappers like Eminem, who is also not particularly refined in his language. I usually do not have a kind predisposition towards people who swear and intercalate with four-letter words, though admittedly such language uttered in Maltese for some strange reason sounds far more vulgar. But I do not make such a great fuss over these songs, particularly if I think of my own times as a youngster when I was a great fan of Lou Reed, the forerunner of punk with the likes of the Stranglers and the Sex Pistols. I had a few things to rebel about in late seventies and early eighties, but I didn't grow into a criminal. I, however, seem to be more sensitive towards the aggressive consumerism of free market politics, on the pretext that the market must regulate itself, advocated by many neo-conservative governments, including GonziPN. I resent in particular the hypocrisy of the sanctimoniousness of GonziPN because of the lack of a proper family policy. If GonziPN took better care of adopting more familly friendly measures such as subsidised child minding centres, more respect for women's jobs at the workplace, more innovative teaching methods, sexual education, better management of cost of living and fuel prices, then maybe we would have parents who are less stressed after a day's work and part-time jobs, more present in their homes, more receptive to dialogue with their children. The outcome of this bad policy-making causes much more harm than the few four-letter words of provocation. Actually sometimes these words uttered in anger should be interpreted for what they really are: a desecration of this claustrophobic aura of fake sanctity and hypocrisy we have in this island.
I don't give a hoot!
Snoop don't let us down. Help this country grow up a little and blast the censorship regime back where it belongs: the hell-hole of the Middle Ages! Help us move into the 21st. century and do not compromise your style for a couple of stuffy, archaic, patriarchal arch-conservatives!
LOL !!! The obscenities and blasphemy blurted out allover the place in Malta are by far worse than Snoop Dogg's lyrics altogether